Exercise:
It remains to write out the block further down character by character.
Source:
┌──
[1]
ZrNb3Fe at its PBEsol-relaxed geometry. Source: Alexandria via LeMat-Bulk, functional SCAN.

a = 4.7952 Å, b = 4.7952 Å, c = 4.7952 Å
α = 90.00°, β = 90.00°, γ = 90.00°
Last column: nearest neighbours and their distance in Å.
Space group Pm-3m (No. 221)
Unique sites:
1 Zr 0.0000 0.0000 0.0000 x1  6 Nb 2.40
2 Nb 0.0000 0.0000 0.5000 x3  2 Zr 2.40
3 Fe 0.5000 0.5000 0.5000 x1  12 Nb 3.39

Values from the calculation:
- energy of formation from the pure elements (eV per atom) = 1.9005
- ΔE to the lowest computed polymorph (eV per atom) = 1.347
- size of the total moment (μB/cell) = 3.585
- final energy (eV per atom) = -27.74

[2]
ZrNb3Fe at its PBEsol-relaxed geometry. Source: Alexandria via LeMat-Bulk, functional SCAN.

a = 4.5866 Å, b = 4.5866 Å, c = 4.5866 Å
α = 90.00°, β = 90.00°, γ = 90.00°
Last column: nearest neighbours and their distance in Å.
Space group Pm-3m (No. 221)
Unique sites:
1 Zr 0.0000 0.0000 0.0000 x1  12 Nb 3.24
2 Nb 0.0000 0.5000 0.5000 x3  2 Fe 2.29
3 Fe 0.5000 0.5000 0.5000 x1  6 Nb 2.29

Values from the calculation:
- energy of formation from the pure elements (eV per atom) = 0.5539
- ΔE to the lowest computed polymorph (eV per atom) = 0.000
- size of the total moment (μB/cell) = 0.000
- final energy (eV per atom) = -29.09

[3]
NdFe5 at its PBEsol-relaxed geometry. Source: Alexandria via LeMat-Bulk, functional SCAN.

a = 4.9722 Å, b = 4.9722 Å, c = 3.8907 Å
α = 90.00°, β = 90.00°, γ = 120.00°
Last column: nearest neighbours and their distance in Å.
Space group P6/mmm (No. 191)
Unique sites:
1 Nd 0.0000 0.0000 0.0000 x1  18 Fe 2.87-3.16
2 Fe 0.0000 0.5000 0.5000 x3  8 Fe 2.42-2.49
3 Fe 0.3333 0.6667 0.0000 x2  6 Fe 2.42

Values from the calculation:
- energy of formation from the pure elements (eV per atom) = 0.0862
- size of the total moment (μB/cell) = 11.748
- final energy (eV per atom) = -22.29

[4]
NdFe2 at its PBEsol-relaxed geometry. Source: Alexandria via LeMat-Bulk, functional SCAN.

a = 7.2562 Å, b = 7.2562 Å, c = 7.2562 Å
α = 90.00°, β = 90.00°, γ = 90.00°
Last column: nearest neighbours and their distance in Å.
Space group Fd-3m (No. 227, origin choice 2)
Unique sites:
1 Nd 0.1250 0.1250 0.1250 x8  12 Fe 3.01, 4 Nd 3.14
2 Fe 0.0000 0.0000 0.5000 x16  6 Fe 2.57

Values from the calculation:
- energy of formation from the pure elements (eV per atom) = 0.1234
- size of the total moment (μB/cell) = 32.206
- final energy (eV per atom) = -26.49

[5]
Nd3Sc2Fe3O12 at its PBEsol-relaxed geometry. Source: Alexandria via LeMat-Bulk, functional SCAN.

a = 12.6997 Å, b = 12.6997 Å, c = 12.6997 Å
α = 90.00°, β = 90.00°, γ = 90.00°
Last column: nearest neighbours and their distance in Å.
Space group Ia-3d (No. 230)
Unique sites:
1 Nd 0.0000 0.2500 0.1250 x24  8 O 2.43-2.51
2 Sc 0.0000 0.0000 0.0000 x16  6 O 2.10
3 Fe 0.0000 0.2500 0.3750 x24  4 O 1.88
4 O 0.0295 0.0569 0.6526 x96  1 Fe 1.88

Values from the calculation:
- size of the total moment (μB/cell) = 120.000
- final energy (eV per atom) = -17.49

[6]
Sr3NdFe2O8 at its PBEsol-relaxed geometry. Source: Alexandria via LeMat-Bulk, functional SCAN.

a = 5.3146 Å, b = 5.3148 Å, c = 12.3729 Å
α = 90.00°, β = 90.00°, γ = 90.00°
Last column: nearest neighbours and their distance in Å.
Space group Amm2 (No. 38)
Unique sites:
1 Sr 0.0000 0.0000 0.0000 x2  9 O 2.45-2.66
2 Sr 0.0000 0.0000 0.2871 x2  9 O 2.45-2.68
3 Sr 0.5000 0.0000 0.7895 x2  9 O 2.42-2.68
4 Nd 0.5000 0.0000 0.5064 x2  5 O 2.35-2.50
5 Fe 0.0000 0.0000 0.6460 x2  6 O 1.88-1.99
6 Fe 0.5000 0.0000 0.1453 x2  5 O 1.88-1.98
7 O 0.0000 0.0000 0.4850 x2  1 Fe 1.99
8 O 0.0000 0.0000 0.8019 x2  1 Fe 1.93
9 O 0.2539 0.2464 0.6419 x8  2 Fe 1.88
10 O 0.5000 0.0000 0.3165 x2  1 Fe 2.12, 1 Nd 2.35
11 O 0.5000 0.0000 0.9851 x2  1 Fe 1.98

Values from the calculation:
- size of the total moment (μB/cell) = 13.714
- final energy (eV per atom) = -16.74
└──
Written answer:
[1]
ZrNb3Fe at its PBEsol-relaxed geometry. Source: Alexandria via LeMat-Bulk, functional SCAN.

a = 4.7952 Å, b = 4.7952 Å, c = 4.7952 Å
α = 90.00°, β = 90.00°, γ = 90.00°
Last column: nearest neighbours and their distance in Å.
Space group Pm-3m (No. 221)
Unique sites:
1 Zr 0.0000 0.0000 0.0000 x1  6 Nb 2.40
2 Nb 0.0000 0.0000 0.5000 x3  2 Zr 2.40
3 Fe 0.5000 0.5000 0.5000 x1  12 Nb 3.39

Values from the calculation:
- energy of formation from the pure elements (eV per atom) = 1.9005
- ΔE to the lowest computed polymorph (eV per atom) = 1.347
- size of the total moment (μB/cell) = 3.585
- final energy (eV per atom) = -27.74

[2]
ZrNb3Fe at its PBEsol-relaxed geometry. Source: Alexandria via LeMat-Bulk, functional SCAN.

a = 4.5866 Å, b = 4.5866 Å, c = 4.5866 Å
α = 90.00°, β = 90.00°, γ = 90.00°
Last column: nearest neighbours and their distance in Å.
Space group Pm-3m (No. 221)
Unique sites:
1 Zr 0.0000 0.0000 0.0000 x1  12 Nb 3.24
2 Nb 0.0000 0.5000 0.5000 x3  2 Fe 2.29
3 Fe 0.5000 0.5000 0.5000 x1  6 Nb 2.29

Values from the calculation:
- energy of formation from the pure elements (eV per atom) = 0.5539
- ΔE to the lowest computed polymorph (eV per atom) = 0.000
- size of the total moment (μB/cell) = 0.000
- final energy (eV per atom) = -29.09

[3]
NdFe5 at its PBEsol-relaxed geometry. Source: Alexandria via LeMat-Bulk, functional SCAN.

a = 4.9722 Å, b = 4.9722 Å, c = 3.8907 Å
α = 90.00°, β = 90.00°, γ = 120.00°
Last column: nearest neighbours and their distance in Å.
Space group P6/mmm (No. 191)
Unique sites:
1 Nd 0.0000 0.0000 0.0000 x1  18 Fe 2.87-3.16
2 Fe 0.0000 0.5000 0.5000 x3  8 Fe 2.42-2.49
3 Fe 0.3333 0.6667 0.0000 x2  6 Fe 2.42

Values from the calculation:
- energy of formation from the pure elements (eV per atom) = 0.0862
- size of the total moment (μB/cell) = 11.748
- final energy (eV per atom) = -22.29

[4]
NdFe2 at its PBEsol-relaxed geometry. Source: Alexandria via LeMat-Bulk, functional SCAN.

a = 7.2562 Å, b = 7.2562 Å, c = 7.2562 Å
α = 90.00°, β = 90.00°, γ = 90.00°
Last column: nearest neighbours and their distance in Å.
Space group Fd-3m (No. 227, origin choice 2)
Unique sites:
1 Nd 0.1250 0.1250 0.1250 x8  12 Fe 3.01, 4 Nd 3.14
2 Fe 0.0000 0.0000 0.5000 x16  6 Fe 2.57

Values from the calculation:
- energy of formation from the pure elements (eV per atom) = 0.1234
- size of the total moment (μB/cell) = 32.206
- final energy (eV per atom) = -26.49

[5]
Nd3Sc2Fe3O12 at its PBEsol-relaxed geometry. Source: Alexandria via LeMat-Bulk, functional SCAN.

a = 12.6997 Å, b = 12.6997 Å, c = 12.6997 Å
α = 90.00°, β = 90.00°, γ = 90.00°
Last column: nearest neighbours and their distance in Å.
Space group Ia-3d (No. 230)
Unique sites:
1 Nd 0.0000 0.2500 0.1250 x24  8 O 2.43-2.51
2 Sc 0.0000 0.0000 0.0000 x16  6 O 2.10
3 Fe 0.0000 0.2500 0.3750 x24  4 O 1.88
4 O 0.0295 0.0569 0.6526 x96  1 Fe 1.88

Values from the calculation:
- size of the total moment (μB/cell) = 120.000
- final energy (eV per atom) = -17.49

[6]
Sr3NdFe2O8 at its PBEsol-relaxed geometry. Source: Alexandria via LeMat-Bulk, functional SCAN.

a = 5.3146 Å, b = 5.3148 Å, c = 12.3729 Å
α = 90.00°, β = 90.00°, γ = 90.00°
Last column: nearest neighbours and their distance in Å.
Space group Amm2 (No. 38)
Unique sites:
1 Sr 0.0000 0.0000 0.0000 x2  9 O 2.45-2.66
2 Sr 0.0000 0.0000 0.2871 x2  9 O 2.45-2.68
3 Sr 0.5000 0.0000 0.7895 x2  9 O 2.42-2.68
4 Nd 0.5000 0.0000 0.5064 x2  5 O 2.35-2.50
5 Fe 0.0000 0.0000 0.6460 x2  6 O 1.88-1.99
6 Fe 0.5000 0.0000 0.1453 x2  5 O 1.88-1.98
7 O 0.0000 0.0000 0.4850 x2  1 Fe 1.99
8 O 0.0000 0.0000 0.8019 x2  1 Fe 1.93
9 O 0.2539 0.2464 0.6419 x8  2 Fe 1.88
10 O 0.5000 0.0000 0.3165 x2  1 Fe 2.12, 1 Nd 2.35
11 O 0.5000 0.0000 0.9851 x2  1 Fe 1.98

Values from the calculation:
- size of the total moment (μB/cell) = 13.714
- final energy (eV per atom) = -16.74